(Given)
- - -
Entry 1:
Here is Mg2FePt after structural relaxation from Alexandria via LeMat-Bulk. Energies are from PBE.

Summary:
Its space group is No. 123. The density of states at the Fermi level is 1.759 states/eV/cell. As for the spin magnetization: 2.3 Bohr magnetons per cell. As for the energy of formation from the pure elements: -269 meV per atom.

a b c (Å): 2.924 2.924 7.379
angles (deg): 90.00 90.00 90.00
Sites, in units of the cell vectors:
1 Mg 0.000 0.000 0.243
2 Mg 0.000 0.000 0.757
3 Fe 0.500 0.500 0.500
4 Pt 0.500 0.500 0.000

=====

Entry 2:
Here is HfTl3H after structural relaxation from Alexandria via LeMat-Bulk. Energies are from PBE.

Summary:
The electronic total energy is -3.628 eV/atom. Its space group is No. 221. The density of states at the Fermi level is 2.326 states/eV/cell. As for the spin magnetization: 0.0 Bohr magnetons per cell.

a b c (Å): 4.700 4.700 4.700
angles (deg): 90.00 90.00 90.00
Sites, in units of the cell vectors:
1 Hf 0.000 0.000 0.000
2 Tl 0.000 0.500 0.500
3 Tl 0.500 0.000 0.500
4 Tl 0.500 0.500 0.000
5 H 0.500 0.500 0.500

=====

Entry 3:
Here is Rb2TeCI6 after structural relaxation from Alexandria via LeMat-Bulk. Energies are from PBE.

Summary:
As for the uncorrected formation energy: -1.3 eV/f.u. Its space group is No. 139. The density of states at the Fermi level is 1.982 states/eV/cell. As for the spin magnetization: 0.0 Bohr magnetons per cell.

a b c (Å): 8.183 8.183 8.183
angles (deg): 121.21 121.21 87.91
Sites, in units of the cell vectors:
1 Rb 0.250 0.750 0.500
2 Rb 0.750 0.250 0.500
3 Te 0.000 0.000 0.000
4 C 0.500 0.500 0.000
5 I 0.268 0.268 0.000
6 I 0.268 0.268 0.535
7 I 0.268 0.732 0.000
8 I 0.732 0.268 0.000
9 I 0.732 0.732 0.000
10 I 0.732 0.732 0.465

=====

Entry 4:
Here is TiNbFeOs after structural relaxation from Alexandria via LeMat-Bulk. Energies are from PBE.

Summary:
Its space group is No. 216. The density of states at the Fermi level is 2.600 states/eV/cell. As for the spin magnetization: 0.7 Bohr magnetons per cell. As for the energy of formation from the pure elements: -346 meV per atom.

a b c (Å): 4.384 4.384 4.384
angles (deg): 60.00 60.00 60.00
Sites, in units of the cell vectors:
1 Ti 0.000 0.000 0.000
2 Nb 0.500 0.500 0.500
3 Fe 0.750 0.750 0.750
4 Os 0.250 0.250 0.250

=====

Question: spin magnetization of number 3 (Rb2TeCI6)?
Answer: 0.0 Bohr magnetons per cell
- - -

(Brief)
Set down all of the calculation results above without altering anything.

(Result)
Entry 1:
Here is Mg2FePt after structural relaxation from Alexandria via LeMat-Bulk. Energies are from PBE.

Summary:
Its space group is No. 123. The density of states at the Fermi level is 1.759 states/eV/cell. As for the spin magnetization: 2.3 Bohr magnetons per cell. As for the energy of formation from the pure elements: -269 meV per atom.

a b c (Å): 2.924 2.924 7.379
angles (deg): 90.00 90.00 90.00
Sites, in units of the cell vectors:
1 Mg 0.000 0.000 0.243
2 Mg 0.000 0.000 0.757
3 Fe 0.500 0.500 0.500
4 Pt 0.500 0.500 0.000

=====

Entry 2:
Here is HfTl3H after structural relaxation from Alexandria via LeMat-Bulk. Energies are from PBE.

Summary:
The electronic total energy is -3.628 eV/atom. Its space group is No. 221. The density of states at the Fermi level is 2.326 states/eV/cell. As for the spin magnetization: 0.0 Bohr magnetons per cell.

a b c (Å): 4.700 4.700 4.700
angles (deg): 90.00 90.00 90.00
Sites, in units of the cell vectors:
1 Hf 0.000 0.000 0.000
2 Tl 0.000 0.500 0.500
3 Tl 0.500 0.000 0.500
4 Tl 0.500 0.500 0.000
5 H 0.500 0.500 0.500

=====

Entry 3:
Here is Rb2TeCI6 after structural relaxation from Alexandria via LeMat-Bulk. Energies are from PBE.

Summary:
As for the uncorrected formation energy: -1.3 eV/f.u. Its space group is No. 139. The density of states at the Fermi level is 1.982 states/eV/cell. As for the spin magnetization: 0.0 Bohr magnetons per cell.

a b c (Å): 8.183 8.183 8.183
angles (deg): 121.21 121.21 87.91
Sites, in units of the cell vectors:
1 Rb 0.250 0.750 0.500
2 Rb 0.750 0.250 0.500
3 Te 0.000 0.000 0.000
4 C 0.500 0.500 0.000
5 I 0.268 0.268 0.000
6 I 0.268 0.268 0.535
7 I 0.268 0.732 0.000
8 I 0.732 0.268 0.000
9 I 0.732 0.732 0.000
10 I 0.732 0.732 0.465

=====

Entry 4:
Here is TiNbFeOs after structural relaxation from Alexandria via LeMat-Bulk. Energies are from PBE.

Summary:
Its space group is No. 216. The density of states at the Fermi level is 2.600 states/eV/cell. As for the spin magnetization: 0.7 Bohr magnetons per cell. As for the energy of formation from the pure elements: -346 meV per atom.

a b c (Å): 4.384 4.384 4.384
angles (deg): 60.00 60.00 60.00
Sites, in units of the cell vectors:
1 Ti 0.000 0.000 0.000
2 Nb 0.500 0.500 0.500
3 Fe 0.750 0.750 0.750
4 Os 0.250 0.250 0.250

=====

Question: spin magnetization of number 3 (Rb2TeCI6)?
Answer: 0.0 Bohr magnetons per cell